### Exercise
Please give back the whole of the rows underneath character by character.
### Excerpt
'''
The following is a PBE-GGA calculation of a relaxed structure of Np2UPdS4, from Alexandria via LeMat-Bulk.

Properties
As for the calculated density: 10.3 Mg/m³. As for the space group: I-42m, No. 121. As for the uncorrected formation energy: -1058 meV per atom.

Unit cell a=6.705 b=5.835 c=5.835 alpha=70.72 beta=54.93 gamma=54.93
Site moments in Bohr magnetons follow the coordinates.
Fractional coordinates of all 8 atoms:
S1 0.502 0.000 0.420  -0.09
S2 0.498 0.580 0.000  -0.09
S3 0.922 0.000 0.580  -0.09
S4 0.078 0.420 0.000  -0.09
Np1 0.000 0.500 0.500  4.14
Np2 0.500 0.500 0.500  4.14
U1 0.000 0.000 0.000  2.74
Pd1 0.500 0.000 0.000  -0.12

***

The following is a PBE-GGA calculation of a relaxed structure of MoRu3, from Alexandria via LeMat-Bulk.

Properties
As for the calculated density: 11.5 Mg/m³. As for the space group: Pm-3m, No. 221. As for the distance to the lowest polymorph of the same formula: 65.7 meV/atom.

Unit cell a=3.859 b=3.859 c=3.859 alpha=90.00 beta=90.00 gamma=90.00
Fractional coordinates of all 4 atoms:
Ru1 0.500 0.000 0.500
Ru2 0.500 0.500 0.000
Ru3 0.000 0.500 0.500
Mo1 0.000 0.000 0.000

***

The following is a PBE-GGA calculation of a relaxed structure of TaNb2C, from Alexandria via LeMat-Bulk.

Properties
As for the calculated density: 9.8 Mg/m³. The calculation puts the total DFT energy (no corrections) at -0.3741 hartree per atom. As for the space group: I-42d, No. 122.

Unit cell a=7.521 b=7.521 c=5.781 alpha=49.43 beta=49.43 gamma=90.00
Fractional coordinates of all 8 atoms:
Ta1 0.750 0.250 0.500
Ta2 0.000 0.000 0.000
Nb1 0.375 0.489 0.750
Nb2 0.511 0.125 0.250
Nb3 0.875 0.761 0.750
Nb4 0.239 0.625 0.250
C1 0.250 0.750 0.500
C2 0.500 0.500 0.000

***

The following is a PBE-GGA calculation of a relaxed structure of Lu3MgS, from Alexandria via LeMat-Bulk.

Properties
As for the calculated density: 7.3 Mg/m³. As for the space group: Pm-3m, No. 221. As for the uncorrected formation energy: -625 meV per atom.

Unit cell a=5.092 b=5.092 c=5.092 alpha=90.00 beta=90.00 gamma=90.00
Fractional coordinates of all 5 atoms:
Lu1 0.000 0.000 0.500
Lu2 0.500 0.000 0.000
Lu3 0.000 0.500 0.000
S1 0.000 0.000 0.000
Mg1 0.500 0.500 0.500

***

The following is a PBE-GGA calculation of a relaxed structure of KY2Al, from Alexandria via LeMat-Bulk.

Properties
As for the calculated density: 3.3 Mg/m³. The calculation puts the total DFT energy (no corrections) at -0.1497 hartree per atom. As for the space group: Pmmm, No. 47.

Unit cell a=4.111 b=5.641 c=5.257 alpha=90.00 beta=90.00 gamma=90.00
Fractional coordinates of all 4 atoms:
K1 0.000 0.500 0.500
Y1 0.500 0.500 0.000
Y2 0.000 0.000 0.000
Al1 0.500 0.000 0.500

***

The following is a PBE-GGA calculation of a relaxed structure of Ca4TlCdAu2, from Alexandria via LeMat-Bulk.

Properties
As for the calculated density: 6.9 Mg/m³. The calculation puts the total DFT energy (no corrections) at -0.1026 hartree per atom. As for the space group: R-3m, No. 166.

Unit cell a=5.299 b=5.299 c=9.162 alpha=73.19 beta=73.19 gamma=60.00
Fractional coordinates of all 8 atoms:
Ca1 0.125 0.125 0.624
Ca2 0.375 0.375 0.874
Ca3 0.875 0.875 0.376
Ca4 0.625 0.625 0.126
Tl1 0.500 0.500 0.500
Cd1 0.000 0.000 0.000
Au1 0.253 0.253 0.242
Au2 0.747 0.747 0.758

***

The following is a PBE-GGA calculation of a relaxed structure of Tl2Re3, from Alexandria via LeMat-Bulk.

Properties
As for the calculated density: 16.1 Mg/m³. As for the space group: Fdd2, No. 43. As for the distance to the lowest polymorph of the same formula: 118.1 meV/atom.

Unit cell a=8.651 b=7.907 c=5.471 alpha=78.25 beta=63.49 gamma=38.26
Fractional coordinates of all 10 atoms:
Tl1 0.404 0.500 0.244
Tl2 0.750 0.846 0.398
Tl3 0.006 0.398 0.846
Tl4 0.852 0.244 0.500
Re1 0.274 0.501 0.814
Re2 0.411 0.814 0.501
Re3 0.059 0.941 0.941
Re4 0.749 0.976 0.839
Re5 0.309 0.191 0.191
Re6 0.436 0.839 0.976

***

The following is a PBE-GGA calculation of a relaxed structure of RbNdCd2, from Alexandria via LeMat-Bulk.

Properties
'''
### Written answer
The following is a PBE-GGA calculation of a relaxed structure of Np2UPdS4, from Alexandria via LeMat-Bulk.

Properties
As for the calculated density: 10.3 Mg/m³. As for the space group: I-42m, No. 121. As for the uncorrected formation energy: -1058 meV per atom.

Unit cell a=6.705 b=5.835 c=5.835 alpha=70.72 beta=54.93 gamma=54.93
Site moments in Bohr magnetons follow the coordinates.
Fractional coordinates of all 8 atoms:
S1 0.502 0.000 0.420  -0.09
S2 0.498 0.580 0.000  -0.09
S3 0.922 0.000 0.580  -0.09
S4 0.078 0.420 0.000  -0.09
Np1 0.000 0.500 0.500  4.14
Np2 0.500 0.500 0.500  4.14
U1 0.000 0.000 0.000  2.74
Pd1 0.500 0.000 0.000  -0.12

***

The following is a PBE-GGA calculation of a relaxed structure of MoRu3, from Alexandria via LeMat-Bulk.

Properties
As for the calculated density: 11.5 Mg/m³. As for the space group: Pm-3m, No. 221. As for the distance to the lowest polymorph of the same formula: 65.7 meV/atom.

Unit cell a=3.859 b=3.859 c=3.859 alpha=90.00 beta=90.00 gamma=90.00
Fractional coordinates of all 4 atoms:
Ru1 0.500 0.000 0.500
Ru2 0.500 0.500 0.000
Ru3 0.000 0.500 0.500
Mo1 0.000 0.000 0.000

***

The following is a PBE-GGA calculation of a relaxed structure of TaNb2C, from Alexandria via LeMat-Bulk.

Properties
As for the calculated density: 9.8 Mg/m³. The calculation puts the total DFT energy (no corrections) at -0.3741 hartree per atom. As for the space group: I-42d, No. 122.

Unit cell a=7.521 b=7.521 c=5.781 alpha=49.43 beta=49.43 gamma=90.00
Fractional coordinates of all 8 atoms:
Ta1 0.750 0.250 0.500
Ta2 0.000 0.000 0.000
Nb1 0.375 0.489 0.750
Nb2 0.511 0.125 0.250
Nb3 0.875 0.761 0.750
Nb4 0.239 0.625 0.250
C1 0.250 0.750 0.500
C2 0.500 0.500 0.000

***

The following is a PBE-GGA calculation of a relaxed structure of Lu3MgS, from Alexandria via LeMat-Bulk.

Properties
As for the calculated density: 7.3 Mg/m³. As for the space group: Pm-3m, No. 221. As for the uncorrected formation energy: -625 meV per atom.

Unit cell a=5.092 b=5.092 c=5.092 alpha=90.00 beta=90.00 gamma=90.00
Fractional coordinates of all 5 atoms:
Lu1 0.000 0.000 0.500
Lu2 0.500 0.000 0.000
Lu3 0.000 0.500 0.000
S1 0.000 0.000 0.000
Mg1 0.500 0.500 0.500

***

The following is a PBE-GGA calculation of a relaxed structure of KY2Al, from Alexandria via LeMat-Bulk.

Properties
As for the calculated density: 3.3 Mg/m³. The calculation puts the total DFT energy (no corrections) at -0.1497 hartree per atom. As for the space group: Pmmm, No. 47.

Unit cell a=4.111 b=5.641 c=5.257 alpha=90.00 beta=90.00 gamma=90.00
Fractional coordinates of all 4 atoms:
K1 0.000 0.500 0.500
Y1 0.500 0.500 0.000
Y2 0.000 0.000 0.000
Al1 0.500 0.000 0.500

***

The following is a PBE-GGA calculation of a relaxed structure of Ca4TlCdAu2, from Alexandria via LeMat-Bulk.

Properties
As for the calculated density: 6.9 Mg/m³. The calculation puts the total DFT energy (no corrections) at -0.1026 hartree per atom. As for the space group: R-3m, No. 166.

Unit cell a=5.299 b=5.299 c=9.162 alpha=73.19 beta=73.19 gamma=60.00
Fractional coordinates of all 8 atoms:
Ca1 0.125 0.125 0.624
Ca2 0.375 0.375 0.874
Ca3 0.875 0.875 0.376
Ca4 0.625 0.625 0.126
Tl1 0.500 0.500 0.500
Cd1 0.000 0.000 0.000
Au1 0.253 0.253 0.242
Au2 0.747 0.747 0.758

***

The following is a PBE-GGA calculation of a relaxed structure of Tl2Re3, from Alexandria via LeMat-Bulk.

Properties
As for the calculated density: 16.1 Mg/m³. As for the space group: Fdd2, No. 43. As for the distance to the lowest polymorph of the same formula: 118.1 meV/atom.

Unit cell a=8.651 b=7.907 c=5.471 alpha=78.25 beta=63.49 gamma=38.26
Fractional coordinates of all 10 atoms:
Tl1 0.404 0.500 0.244
Tl2 0.750 0.846 0.398
Tl3 0.006 0.398 0.846
Tl4 0.852 0.244 0.500
Re1 0.274 0.501 0.814
Re2 0.411 0.814 0.501
Re3 0.059 0.941 0.941
Re4 0.749 0.976 0.839
Re5 0.309 0.191 0.191
Re6 0.436 0.839 0.976

***

The following is a PBE-GGA calculation of a relaxed structure of RbNdCd2, from Alexandria via LeMat-Bulk.

Properties